How to deal with the autumn blues?
 Autumn is usually accompanied by many a bad mood, irritability, poor health. At the same time, we do not even notice how to drive themselves in a deplorable state.

Of course, being in a good mood constantly does not always work, but we must strive to do so! What for? - You ask. Yes, then, that you and will feel better, and will shine in the eyes, and, therefore, you'll look good too.

The question is: how? - If all sides stress weighs on you. You can change all my life, but the courage to immediately change rarely anyone missing. So start slowly moving in the right direction to next autumn was a joy.

We will not give any global tips on where to find a job, how to cope with her husband and children, and a few light in the implementation of proposals on how to reduce stress in your life and paint everyday life with bright colors.

Struggling with stress

Stress manifests itself in different ways in our lives: from throwing around the apartment before going to work in an attempt to find clues to the desire to break the plate, well, at least the wall. To morning started without involving all hands it is necessary to introduce some order in their lives.

1. Gather the evening : Polish shoes, trousers and skirts Iron-on transfer, collect the bag. So you will save up to 30 minutes in the morning. And you can easily have breakfast.

2. Set the alarm for 15 minutes earlier To be able to slowly rise.

3.   there is a good expression of that every rusty pencil is better than good head. This means that We write down everything that is important Or almost everything.

 How to deal with the autumn blues?

4. Make copies of necessary documents And keep all documents in a strict order. By the way, is to make copies of keys.

5. Try to wear comfortable clothes.   This does not mean that the mini-skirt and heels - bad. If convenient to them, it's good. After all, if you feel uncomfortable in clothes, then you start to get nervous, less confident, get better all the time, and, sooner or later, starts to irritate.

6. Learn to prioritize . Even in small things. And the need to break large tasks into smaller ones, to know where to go and how much is done.

7. Put the goals for themselves .

8. Delegate authority . Closing the circle of responsibility for yourself, you're doing the victim. And the victims are not interesting. And arrange for help and motivate - it is always possible. Even if you have two children and her husband.

9. Regularly eat. Refusal of food provokes stress. So why is it you! Even if you lose weight, you can always find time for that meal. Diet recipes, as well as products abound.

 How to deal with the autumn blues?

10. Take care of yourself.   It's so nice to look in the mirror when you are satisfied with the reflection. And, besides, well-groomed man - confident man, and thus increasing chances to achieve something in life.

11. Decorate the home.   Typically, spring and summer decorating apartments offer bright fabrics, paintings, etc. So keep this spirit and in the autumn. You can always add a drop of sun and color in life. Make regular purchases for the home. It's so nice when you are surrounded by beautiful things.

12. Procedure in the apartment, bag, desktop   - One of the options for reducing the stress.

 How to deal with the autumn blues?

13. Carry out an audit of finances at least once a week . To 0 on the credit card and flies in the wallet did not become an unpleasant surprise. It has long been proven that keep the family budget is helpful. And there are enough ways to choose the one that suits you exactly.

 How to deal with the autumn blues?

14. Do not be lazy . After laziness - the main enemy of a happy life.

15. Relax.   Even if the work of Abraham, and the homes of millions of cases. Find at least a couple of hours on the weekends to do their favorite thing.

Uplifting . As you lift your mood? And often you do it? But joy can be found in the details! So, here are a few suggestions for raising the mood!

We are doing sports . It has long been proven that exercise causes our body to produce the hormone of joy. But excuses not to go to the gym, run or train at home have not diminished. And in vain! Not only will raise the mood, so more acquire new acquaintances, improve health, and tighten the muscles.

 How to deal with the autumn blues?

Forgive yourself mistakes and learn to pamper yourself . How many times this was that they had bought a new skirt, dress, bag, etc. on the list, and then we go and feel sorry for the money that has been spent. What for? We earn money to spend. She could spend her husband, children, etc., will spend, but then. Children have everything: clothes, toys, etc., the husband, and that her husband, should he indulge you. The next time you pamper it. Save up for a car, but so what ... In life there are no trifles, and successfully bought suit could lead to a whole series of pleasant changes in his life. In the end, denying themselves everything, sooner or later you will start to feel like a victim. And then Depression ...

Pampering yourself delicacies.   Once a month, you can treat yourself to something tasty and not the budget. You can go to a restaurant, coffee shop, or buy food and cook something myself.

Write or call friends or relatives . Frantic pace of life makes us forget the loved ones. Meets regularly with friends and family. The exchange of experiences and the opportunity to see his dearest help elevate mood.

 How to deal with the autumn blues?

Watch . How many wonderful things around us. Yellow foliage reflecting in the wet pavement lights, the lights of the windows surrounding the people, buildings, and so on. So just to see the wonderful things around us.

Try laughing more often . Joke, read, listen, look. Laughter prolongs life.

Surround yourself with mug . Bright cup of oranges in a vase, unusual Organizer and more make an ordinary day bright. And what a pleasure for the selection of such things!

 How to deal with the autumn blues?

Regularly arrange spa treatments . At least at home. Here are a few recipes that you can easily try at home. Now a huge selection of all kinds of means to care for themselves. So what are you waiting for! You can even cook some yourself. For this you need the salt, milk, essential oils, dried herbs. A great variety of combinations. Do not be afraid to experiment and search for those recipes that will please you.

 How to deal with the autumn blues?

Help!   We live in times of indifferent people. And it is so nice as we can for someone else to rely on. But we can lean on. Friend, relative, and simply in need. You do not even believe it, but when you help kiddies from orphanages or kitties, dogs, or you participate in the activities of charities, you feel like a real person, and the mood because you helped dramatically going up the hill.

 How to deal with the autumn blues?

Unrelated to this text: crystal structures.
+++
# Ni3GeO GGA+U optimized geometry
# - SG: Pm-3m (221)
# - DFT total energy: -3.34 eV per atom
# - Energy above the most stable polymorph in this dataset: 0.0 meV/atom
data_Ni3GeO
_chemical_formula_sum 'Ni3 Ge1 O1'
_space_group_name_H-M_alt 'P 1'
_space_group_IT_number 1
_space_group_name_Hall 'P 1'
_cell_length_a 3.9708
_cell_length_b 3.9708
_cell_length_c 3.9708
_cell_angle_alpha 90.00
_cell_angle_beta 90.00
_cell_angle_gamma 90.00
loop_
_atom_site_label
_atom_site_fract_x
_atom_site_fract_y
_atom_site_fract_z
Ni1 0.0000 0.5000 0.0000
Ni2 0.5000 0.0000 0.0000
Ni3 0.0000 0.0000 0.5000
Ge1 0.5000 0.5000 0.5000
O1 0.0000 0.0000 0.0000


[1]
Entry from the Alexandria database: a relaxed structure of RbGa6Au12 (PBE-GGA).

Properties
crystal system: trigonal
magnetic moment: 0.0 μB/f.u.
polymorph energy (0 for the lowest one): 0.004 eV/atom
calculated formation energy: -0.14 eV/atom

Geometry as CIF:
```
data_RbGa6Au12
_chemical_formula_sum 'Rb3 Ga18 Au36'
_cell_length_a 12.5517
_cell_length_b 12.5517
_cell_length_c 8.4106
_cell_angle_alpha 90.00
_cell_angle_beta 90.00
_cell_angle_gamma 120.00
_space_group_name_H-M_alt 'R -3'
_space_group_IT_number 148
_space_group_name_Hall '-R 3'
loop_
_atom_site_label
_atom_site_fract_x
_atom_site_fract_y
_atom_site_fract_z
Rb1 0.0000 0.0000 0.0000
Ga1 0.0254 0.7589 0.7866
Au1 0.0194 0.5476 0.7457
Au2 0.0561 0.9004 0.3593
```

[2]
Entry from the Alexandria database: a relaxed structure of La2AgC (PBE-GGA).

Properties
crystal system: trigonal
magnetic moment: 0.0 μB/f.u.
calculated formation energy: -0.11 eV/atom

Geometry as CIF:
```
data_La2AgC
_chemical_formula_sum 'La6 Ag3 C3'
_cell_length_a 3.7918
_cell_length_b 3.7918
_cell_length_c 24.1353
_cell_angle_alpha 90.00
_cell_angle_beta 90.00
_cell_angle_gamma 120.00
_space_group_name_H-M_alt 'R -3 m'
_space_group_IT_number 166
_space_group_name_Hall '-R 3 2"'
loop_
_atom_site_label
_atom_site_fract_x
_atom_site_fract_y
_atom_site_fract_z
La1 0.0000 0.0000 0.2275
Ag1 0.0000 0.0000 0.0000
C1 0.0000 0.0000 0.5000
```

[3]
Entry from the Alexandria database: a relaxed structure of GdThRu (PBE-GGA).

Properties
crystal system: cubic
magnetic moment: 7.2 μB/f.u.
polymorph energy (0 for the lowest one): 0.013 eV/atom
calculated formation energy: -0.22 eV/atom

Geometry as CIF:
```
data_GdThRu
_chemical_formula_sum 'Gd4 Th4 Ru4'
_cell_length_a 6.899
_cell_length_b 6.899
_cell_length_c 6.899
_cell_angle_alpha 90.00
_cell_angle_beta 90.00
_cell_angle_gamma 90.00
_space_group_name_H-M_alt 'F -4 3 m'
_space_group_IT_number 216
_space_group_name_Hall 'F -4 2 3'
loop_
_atom_site_label
_atom_site_fract_x
_atom_site_fract_y
_atom_site_fract_z
Gd1 0.000 0.000 0.000
Th1 0.000 0.000 0.500
Ru1 0.250 0.250 0.250
```

[4]
Entry from the Alexandria database: a relaxed structure of RbNbTe3 (PBE-GGA).

Properties
crystal system: triclinic
magnetic moment: 0.0 μB/f.u.
polymorph energy (0 for the lowest one): 0.000 eV/atom
formation energy (no corrections): -0.58 eV/atom

Geometry as CIF:
+++

In a state of depression and melancholy, we ourselves artificially drives, writing off of the circumstances. Of course, there are moments in life when there is nothing to rejoice. But this goes. And most of all, we ourselves drive ourselves into this state, because we do not have enough experience in life. And who can give us the best impression? Of course, we are !!! Sometimes it is useful to mourn, but only then to start with new strength to live.
Author: Vera Karabutova